Chemical Fiber Operations, 2016
Year:2017 ISSUE:8
Click:316    DateTime:May.09,2017
Chemical Fiber Operations, 2016

# What comes next are molecular data, not part of the piece
=====
The following is a DFT calculation (ωB97M-V/def2-TZVPD) of a molecular structure, C4H38BaO19Sn2 at a distorted geometry.

Each line ends with the Löwdin charge.
Cartesian coordinates (Å):
Sn: -1.1618 13.9033 12.2358  1.69
Sn: -3.4875 17.7488 14.4121  1.36
Ba: -4.1047 12.6855 15.5758  1.90
O: 0.8583 12.4511 15.6773  -0.36
C: 0.5844 11.2769 14.8578  -0.34
C: -0.9154 10.6644 14.7565  -0.35
O: -1.9743 11.3656 14.1338  -0.51
H: 1.1971 10.4330 15.1749  0.09
H: 1.0471 11.5157 13.9002  0.06
H: -1.1365 10.4534 15.8027  0.09
H: -0.8592 9.6553 14.3482  0.08
O: -4.0202 14.6036 13.4723  -0.61
C: -5.0793 14.8374 12.5190  -0.36
C: -6.4636 15.4784 13.0192  -0.33
O: -6.6975 16.8934 13.1973  -0.24
H: -5.0982 13.8961 11.9697  0.08
H: -4.7153 15.5162 11.7477  0.07
H: -6.8845 14.9439 13.8708  0.09
H: -7.1124 15.3330 12.1555  0.11
O: 0.2601 15.6284 10.2180  -0.12
H: 0.7029 15.0449 9.6017  -0.02
H: 0.5804 16.5020 9.9937  0.06
O: 1.1196 12.1286 10.8903  -0.09
H: 1.7069 12.8077 10.5585  -0.03
H: 1.6664 11.3449 10.9464  0.06
O: -2.8105 17.3578 9.7191  -0.02
H: -3.6649 17.7892 9.7317  0.09
H: -2.3142 17.8277 9.0490  0.09
O: -5.2505 15.0100 8.2321  -0.04
H: -5.1963 14.2577 7.6428  0.04
H: -4.8765 14.6970 9.0558  -0.01
O: -1.3991 17.0484 11.9448  -0.16
H: -1.7858 16.9895 11.0712  -0.03
H: -0.7320 17.7305 11.8665  0.05
O: -4.5789 11.3854 13.0386  -0.15
H: -4.7247 11.5334 12.1042  0.03
H: -3.6274 11.3297 13.1271  -0.06
O: -2.3665 8.4291 12.1865  -0.04
H: -2.1826 9.2921 12.5575  -0.01
H: -1.5140 7.9949 12.1546  0.04
O: 3.4632 14.1659 11.5823  -0.02
H: 4.2824 13.7824 11.2690  0.07
H: 3.3349 14.9394 11.0333  0.05
O: -1.8602 13.6452 16.6780  -0.23
H: -1.4359 14.2598 17.2767  0.06
H: -1.1500 13.0834 16.3678  -0.01
O: 1.4303 17.0601 14.1461  -0.02
H: 1.7960 16.1961 13.9565  0.03
H: 1.6526 17.5884 13.3795  0.06
O: -0.7734 15.8693 14.7995  -0.16
H: -0.5826 15.4223 15.6242  0.03
H: 0.0057 16.3981 14.6273  -0.04
O: 1.3768 14.2521 13.5508  -0.13
H: 2.0874 14.0706 12.9357  0.01
H: 1.3122 13.4595 14.0836  -0.02
O: 1.7597 13.8651 8.8738  -0.03
H: 2.6693 13.6734 8.6458  0.08
H: 1.2508 13.5233 8.1387  0.09
O: -2.7594 11.6442 10.5048  -0.07
H: -3.5348 11.9458 10.0314  0.04
H: -2.3530 11.0064 9.9181  0.06
O: -2.7337 14.5655 9.5712  -0.12
H: -2.9689 15.4562 9.3111  0.00
H: -2.4024 14.1610 8.7695  0.06

Results
E_LUMO = -7.99 eV
charge = +2
E = -56003.265 eV
HOMO level = -11.239 eV

* * * * *

Here is a single C4H10NOP molecule from OMol25. Energies are from ωB97M-V/def2-TZVPD.

Geometry as XYZ:
```
17
Properties=species:S:1:pos:R:3:mulliken_charge:R:1
H 0.358 -2.848 -0.718 0.38
H -1.098 -1.918 -0.489 0.32
O 1.893 -1.035 0.252 -0.54
H -1.710 -0.335 2.503 0.04
H 1.074 2.142 0.046 0.34
C 0.742 -0.918 -0.025 0.39
P -0.465 -0.265 3.056 -0.01
H -1.231 0.107 0.154 0.30
N 0.088 0.762 1.717 -0.58
C 0.254 1.602 -0.400 -1.42
C -0.043 -1.914 -0.938 -1.07
H 1.157 0.836 1.908 0.35
H -0.643 2.185 -0.285 0.37
H 0.575 1.345 -1.394 0.38
H 0.072 -1.740 -2.029 0.28
H -0.131 -1.511 2.451 0.02
=====
# So much for the molecular data

By Wan Lei, Wu Wenjing, China Chemical Fibers Association

In 2016, industrial added value grew by 6.1% in China’s chemical fiber sector, faster than growth in Chinese industry overall or in the national textile sector as a whole. Main-business revenue was RMB766.28 billion, 3.71% over the previous year. Total profit was RMB36.64 billion, an increase of 19.9%. Profit on sales was 4.78%, 0.65 percentage points higher than in the previous year, while 16.27% of firms lost money, down 3.62 percentage points.

Steady increase of operating rates

China produced 49.437 million tons of chemical fibers in 2016. According to sampling and analysis by China Chemical Fibers Association, chemical fiber output grew 3.98%. Operating rates increased overall (see Figure 1) with an effective operating rate of 82%. Polyester filament makers averaged around 76%; polyester staple makers averaged around 70%; makers of viscose filament fiber and viscose staple fiber averaged 91.3% and 90.4%, respectively, both higher than in 2015; polyamide fiber makers averaged 70%, up a bit from 2015; polyurethane fiber makers slowed to an average of 86%.

Prices rise

Prices of large-volume commodities in the international market generally increased in 2016. Domestic prices of major chemical fiber products also rose. The increase was even steeper in the second half of the year, especially in October. Increases reached 30-50%.
Reasons for the increases follow. (1) Production costs increased. Crude oil went up 45%, from $37/bbl in January to $53/bbl in December. (2) State-driven capacity reduction improved the supply-demand relationship. (3) During the G20 Summit in September-November, output of some products was lower than in the same period of the previous year, accelerated the year’s price increases. (4) Demand was sound, both at home and abroad.

Double-digit growth of export

China imported 810.6 kt of chemical fibers in 2016, with an annual decline of 3.64%, while 3.9268 million tons was exported, up 15.48%, and shipping out 7.94% of all output. The export value was 2.92% higher than in the previous year. Polyester filament fiber accounted for 50.34% of the total export volume and polyester staple fiber accounted for 25.98%, totaling 76.32%. The export value of polyester filament fiber and polyester staple fiber accounted for 55.04% of the total export value.

Slowdown of investment growth

Fixed asset investment actually realized in the chemical fiber sector was RMB111.6 billion in 2016, accounting for 14.6% of main-business revenue. The growth of the investment was 0.34%, being 2.53 percentage points lower than in the previous year. Investment growth slowed after 2011. So the creation of new capacity slowed down and capacity reduction goals for the sector were attained.
Sales of polyester filament fiber equipment will reportedly reach a historical high during 2017-2018, and great numbers of new viscose staple fiber units will be put on stream.

Gradual rise of profitability

Profits of the sector totaled RMB36.64 billion in 2016, up 19.86% YoY. The profit rate was 4.63 percentage points higher than in 2015. Among textile subsectors, the profit rate grew most rapidly in the chemical fiber sector. The percentage of firms that lost money was 16.27%, 3.62 percentage points lower than in the previous year, and their losses were 23.11% lower.
With the rising product prices and increasing profits, operations in the sector were obviously less stressful. The main-business profit rate was 4.78% in 2016, 0.64 percentage points higher YoY. The net rate of return on assets was 0.72 percentage points higher. The growth of sales was 2.5 percentage points higher.
With China’s stable macro economy and increased personal income, domestic demand has expanded further. All these factors will help stabilize the textile industry. Output in the chemical fiber sector is likely to grow 3-5% this year, and operating rates are fairly stable, with a slight increase. Prices of major products will keep rising in the first half of 2017. As the reference points set in 2016 are quite high, profit growth will slow down, and the profit rate on sales will not rise this year.